_Activity_
Transcribe everything further down without altering anything, please.
_Listing_
=====
1.
This record from the OMol25 dataset describes 2 unconnected molecules or ions with the total composition C2H10N3O in a non-equilibrium geometry. The level of theory is wB97M-V/def2-TZVPD.

LUMO	-2.99	eV
E_tot	-8748.1828	eV
total charge	+1
relative energy (zero: lowest compared OMol25 entry of this formula, charge and spin)	92.5	kJ/mol

Each line ends with the Löwdin charge.
Atoms and positions in Å:
C 0.1622 0.9785 -1.5925  -0.010
N 0.1217 0.1863 -0.3322  0.066
C -0.8839 0.0535 0.4728  -0.466
N -0.8776 -0.7807 1.5484  0.166
N -2.0258 0.6912 0.2270  0.190
H -0.1594 2.0087 -1.4179  0.096
H 1.2286 1.1709 -1.9124  0.115
H -0.3434 0.4417 -2.3907  0.096
H 0.9516 -0.3045 -0.1963  0.050
H -0.0150 -1.3789 1.6282  0.132
H -0.9355 -0.3820 2.4816  0.130
H -2.6998 0.5415 1.0105  0.153
H -2.3670 0.8943 -0.7444  0.159
H 2.8756 -1.1573 -0.2607  0.052
H 2.7732 -1.6182 1.1163  0.107
O 2.1945 -1.3451 0.3622  -0.034

Force components x, y, z for each atom (eV/Å):
1.06 0.47 0.39
-0.39 1.44 -2.08
-0.58 0.37 -0.62
2.44 -1.49 1.21
-1.61 0.19 0.41
-0.68 -0.33 -0.07
-0.99 -0.83 0.55
-0.21 0.30 -0.08
1.33 -1.22 1.06
-1.13 0.82 -0.63
-0.74 0.41 -0.26
0.31 0.31 -1.65
0.61 -0.07 1.71
0.78 0.25 -1.33
-1.02 0.20 -0.44
0.83 -0.79 1.83

---

2.
This record from the OMol25 dataset describes a molecular structure, C43H43BBrGeN5O2ReS in a non-equilibrium geometry. The level of theory is wB97M-V/def2-TZVPD.

LUMO (spin up / spin down)	-2.02 / -2.08	eV
E_tot	-197032.9992	eV
total charge	0
relative energy (zero: lowest compared OMol25 entry of this formula, charge and spin)	424.8	kJ/mol
2S+1	2
expectation value of S²	0.94

Each line ends with the Löwdin charge.
Atoms and positions in Å:
Re 0.5796 -0.6949 1.6125  1.460
N 3.2002 -1.6247 5.0203  0.093
C 2.2940 -0.9702 4.2667  -0.839
S 0.7154 -1.6794 4.0722  0.679
N 2.6198 0.2122 3.7913  0.029
N 1.5271 0.6478 3.1025  -0.226
C 1.0549 1.8151 3.2567  -0.050
C -0.3037 1.9805 2.7566  -0.253
C -1.0168 3.1544 2.9335  -0.007
C -2.3689 3.1672 2.6411  -0.031
C -2.9706 2.0062 2.1893  -0.021
C -2.1881 0.8823 1.9806  -0.100
N -0.8764 0.8576 2.2481  -0.036
H 3.0180 -2.5765 5.2701  0.085
H 4.1446 -1.2781 5.0408  0.096
H 1.5318 2.5583 3.8863  0.143
H -0.5114 4.0288 3.3212  0.120
H -2.9504 4.0699 2.7766  0.116
H -4.0280 1.9640 1.9743  0.101
H -2.6135 -0.0359 1.6024  0.094
C 5.5530 -1.4173 2.0326  -0.078
C 4.4247 -1.0938 1.0584  -0.382
C 4.7729 -1.6424 -0.3307  -0.054
C 4.1215 0.3823 0.9332  -0.154
C 5.1081 1.3143 1.1952  -0.033
C 4.8805 2.6720 1.0199  -0.057
C 3.6762 3.0845 0.4925  -0.054
C 2.6461 2.1935 0.1762  -0.129
C 1.4478 2.8229 -0.5374  -0.352
C 0.2668 1.9329 -0.9071  -0.111
C 1.9304 3.4809 -1.8435  -0.060
C 2.8412 0.8358 0.5017  -0.223
N 1.7814 -0.0792 0.4619  -0.037
H 5.5880 -2.4938 2.2117  0.084
H 5.4093 -0.9138 2.9904  0.065
H 6.5292 -1.1215 1.6404  0.077
H 3.5289 -1.5985 1.4209  0.099
H 5.6948 -1.1745 -0.6873  0.088
H 3.9898 -1.4239 -1.0562  0.071
H 4.9249 -2.7239 -0.2999  0.083
H 6.0732 0.9798 1.5536  0.107
H 5.6468 3.3957 1.2673  0.106
H 3.5106 4.1412 0.3176  0.112
H 1.0698 3.6211 0.1157  0.135
H 0.5714 1.1006 -1.5461  0.089
H -0.4519 2.5336 -1.4687  0.061
H -0.2519 1.5091 -0.0488  0.014
H 2.3053 2.7109 -2.5229  0.094
H 2.7278 4.2048 -1.6888  0.065
H 1.0998 3.9888 -2.3389  0.079
Br 1.7411 -7.2151 -0.1040  0.726
C 1.3856 -5.4105 0.3602  -0.690
C 1.8934 -4.3877 -0.4212  -0.116
C 1.6325 -3.0755 -0.0624  -0.120
C 0.9007 -2.7310 1.0855  -0.323
C 0.3679 -3.8061 1.8127  -0.150
C 0.6068 -5.1277 1.4673  -0.121
H 2.4742 -4.6109 -1.3073  0.106
H 1.9977 -2.2855 -0.6993  0.083
H -0.2641 -3.6262 2.6715  0.055
H 0.1834 -5.9301 2.0568  0.103
Ge -2.8662 0.5632 -1.6774  1.065
C -4.4370 1.4068 -0.8791  -0.389
C -4.7186 2.7730 -0.8639  -0.130
C -5.8259 3.2670 -0.1879  -0.105
C -6.6660 2.4030 0.5027  -0.111
C -6.3973 1.0401 0.5051  -0.103
C -5.2941 0.5516 -0.1788  -0.155
C -2.1098 1.3640 -3.2824  -0.381
C -1.3224 0.5202 -4.0690  -0.132
C -0.6717 0.9947 -5.1974  -0.092
C -0.7955 2.3283 -5.5601  -0.102
C -1.5767 3.1801 -4.7913  -0.099
=====
_Worked solution_
1.
This record from the OMol25 dataset describes 2 unconnected molecules or ions with the total composition C2H10N3O in a non-equilibrium geometry. The level of theory is wB97M-V/def2-TZVPD.

LUMO	-2.99	eV
E_tot	-8748.1828	eV
total charge	+1
relative energy (zero: lowest compared OMol25 entry of this formula, charge and spin)	92.5	kJ/mol

Each line ends with the Löwdin charge.
Atoms and positions in Å:
C 0.1622 0.9785 -1.5925  -0.010
N 0.1217 0.1863 -0.3322  0.066
C -0.8839 0.0535 0.4728  -0.466
N -0.8776 -0.7807 1.5484  0.166
N -2.0258 0.6912 0.2270  0.190
H -0.1594 2.0087 -1.4179  0.096
H 1.2286 1.1709 -1.9124  0.115
H -0.3434 0.4417 -2.3907  0.096
H 0.9516 -0.3045 -0.1963  0.050
H -0.0150 -1.3789 1.6282  0.132
H -0.9355 -0.3820 2.4816  0.130
H -2.6998 0.5415 1.0105  0.153
H -2.3670 0.8943 -0.7444  0.159
H 2.8756 -1.1573 -0.2607  0.052
H 2.7732 -1.6182 1.1163  0.107
O 2.1945 -1.3451 0.3622  -0.034

Force components x, y, z for each atom (eV/Å):
1.06 0.47 0.39
-0.39 1.44 -2.08
-0.58 0.37 -0.62
2.44 -1.49 1.21
-1.61 0.19 0.41
-0.68 -0.33 -0.07
-0.99 -0.83 0.55
-0.21 0.30 -0.08
1.33 -1.22 1.06
-1.13 0.82 -0.63
-0.74 0.41 -0.26
0.31 0.31 -1.65
0.61 -0.07 1.71
0.78 0.25 -1.33
-1.02 0.20 -0.44
0.83 -0.79 1.83

---

2.
This record from the OMol25 dataset describes a molecular structure, C43H43BBrGeN5O2ReS in a non-equilibrium geometry. The level of theory is wB97M-V/def2-TZVPD.

LUMO (spin up / spin down)	-2.02 / -2.08	eV
E_tot	-197032.9992	eV
total charge	0
relative energy (zero: lowest compared OMol25 entry of this formula, charge and spin)	424.8	kJ/mol
2S+1	2
expectation value of S²	0.94

Each line ends with the Löwdin charge.
Atoms and positions in Å:
Re 0.5796 -0.6949 1.6125  1.460
N 3.2002 -1.6247 5.0203  0.093
C 2.2940 -0.9702 4.2667  -0.839
S 0.7154 -1.6794 4.0722  0.679
N 2.6198 0.2122 3.7913  0.029
N 1.5271 0.6478 3.1025  -0.226
C 1.0549 1.8151 3.2567  -0.050
C -0.3037 1.9805 2.7566  -0.253
C -1.0168 3.1544 2.9335  -0.007
C -2.3689 3.1672 2.6411  -0.031
C -2.9706 2.0062 2.1893  -0.021
C -2.1881 0.8823 1.9806  -0.100
N -0.8764 0.8576 2.2481  -0.036
H 3.0180 -2.5765 5.2701  0.085
H 4.1446 -1.2781 5.0408  0.096
H 1.5318 2.5583 3.8863  0.143
H -0.5114 4.0288 3.3212  0.120
H -2.9504 4.0699 2.7766  0.116
H -4.0280 1.9640 1.9743  0.101
H -2.6135 -0.0359 1.6024  0.094
C 5.5530 -1.4173 2.0326  -0.078
C 4.4247 -1.0938 1.0584  -0.382
C 4.7729 -1.6424 -0.3307  -0.054
C 4.1215 0.3823 0.9332  -0.154
C 5.1081 1.3143 1.1952  -0.033
C 4.8805 2.6720 1.0199  -0.057
C 3.6762 3.0845 0.4925  -0.054
C 2.6461 2.1935 0.1762  -0.129
C 1.4478 2.8229 -0.5374  -0.352
C 0.2668 1.9329 -0.9071  -0.111
C 1.9304 3.4809 -1.8435  -0.060
C 2.8412 0.8358 0.5017  -0.223
N 1.7814 -0.0792 0.4619  -0.037
H 5.5880 -2.4938 2.2117  0.084
H 5.4093 -0.9138 2.9904  0.065
H 6.5292 -1.1215 1.6404  0.077
H 3.5289 -1.5985 1.4209  0.099
H 5.6948 -1.1745 -0.6873  0.088
H 3.9898 -1.4239 -1.0562  0.071
H 4.9249 -2.7239 -0.2999  0.083
H 6.0732 0.9798 1.5536  0.107
H 5.6468 3.3957 1.2673  0.106
H 3.5106 4.1412 0.3176  0.112
H 1.0698 3.6211 0.1157  0.135
H 0.5714 1.1006 -1.5461  0.089
H -0.4519 2.5336 -1.4687  0.061
H -0.2519 1.5091 -0.0488  0.014
H 2.3053 2.7109 -2.5229  0.094
H 2.7278 4.2048 -1.6888  0.065
H 1.0998 3.9888 -2.3389  0.079
Br 1.7411 -7.2151 -0.1040  0.726
C 1.3856 -5.4105 0.3602  -0.690
C 1.8934 -4.3877 -0.4212  -0.116
C 1.6325 -3.0755 -0.0624  -0.120
C 0.9007 -2.7310 1.0855  -0.323
C 0.3679 -3.8061 1.8127  -0.150
C 0.6068 -5.1277 1.4673  -0.121
H 2.4742 -4.6109 -1.3073  0.106
H 1.9977 -2.2855 -0.6993  0.083
H -0.2641 -3.6262 2.6715  0.055
H 0.1834 -5.9301 2.0568  0.103
Ge -2.8662 0.5632 -1.6774  1.065
C -4.4370 1.4068 -0.8791  -0.389
C -4.7186 2.7730 -0.8639  -0.130
C -5.8259 3.2670 -0.1879  -0.105
C -6.6660 2.4030 0.5027  -0.111
C -6.3973 1.0401 0.5051  -0.103
C -5.2941 0.5516 -0.1788  -0.155
C -2.1098 1.3640 -3.2824  -0.381
C -1.3224 0.5202 -4.0690  -0.132
C -0.6717 0.9947 -5.1974  -0.092
C -0.7955 2.3283 -5.5601  -0.102
C -1.5767 3.1801 -4.7913  -0.099